== Request ==
Next, echo all of the block below word for word.

== Input ==
Structure and simulated XRD peak list of K2Hg4F (a crystal structure in Alexandria, relaxed with PBE; Cu Kα).
Peak positions follow from Bragg's law for the DFT cell and can differ from measured ones.

Main lines, sorted by position (5° ≤ 2θ ≤ 70°):
| 2θ (°) | d/Å | I_rel |
| --- | --- | --- |
| 10.54 | 8.394 | 37.6 |
| 16.65 | 5.326 | 29.7 |
| 22.43 | 3.965 | 29.6 |
| 24.80 | 3.590 | 75.5 |
| 31.00 | 2.885 | 100.0 |
| 31.87 | 2.808 | 61.8 |
| 31.99 | 2.798 | 23.3 |
| 45.75 | 1.983 | 57.6 |
| 52.71 | 1.737 | 28.5 |
| 56.25 | 1.636 | 37.8 |

a = 5.6159 Å, b = 5.6159 Å, c = 16.7888 Å
α = 90.00°, β = 90.00°, γ = 90.00°
Positions (direct):
1 K 0.0000 0.0000 0.1445
2 K 0.0000 0.0000 0.8555
3 K 0.5000 0.5000 0.3555
4 K 0.5000 0.5000 0.6445
5 Hg 0.0000 0.0000 0.3513
6 Hg 0.0000 0.0000 0.6487
7 Hg 0.0000 0.5000 0.0000
8 Hg 0.0000 0.5000 0.5000
9 Hg 0.5000 0.0000 0.0000
10 Hg 0.5000 0.0000 0.5000
11 Hg 0.5000 0.5000 0.1487
12 Hg 0.5000 0.5000 0.8513
13 F 0.0000 0.0000 0.5000
14 F 0.5000 0.5000 0.0000

Structure and simulated XRD peak list of NpAg2Au8 (a crystal structure in Alexandria, relaxed with PBE; Cu Kα).
Peak positions follow from Bragg's law for the DFT cell and can differ from measured ones.

Main lines, sorted by position (5° ≤ 2θ ≤ 70°):
| 2θ (°) | d/Å | I_rel |
| --- | --- | --- |
| 33.40 | 2.683 | 32.2 |
| 37.60 | 2.392 | 74.5 |
| 38.08 | 2.363 | 77.2 |
| 38.49 | 2.339 | 100.0 |
| 38.89 | 2.316 | 53.9 |
| 39.82 | 2.264 | 36.1 |
| 40.63 | 2.220 | 22.2 |
| 51.16 | 1.786 | 19.7 |
| 67.62 | 1.385 | 17.7 |
| 68.45 | 1.371 | 18.9 |

a = 7.0777 Å, b = 7.0777 Å, c = 8.1720 Å
α = 121.49°, β = 121.49°, γ = 39.51°
Positions (direct):
1 Np 0.0000 0.0000 0.0000
2 Ag 0.3110 0.3110 0.2836
3 Ag 0.6890 0.6890 0.7164
4 Au 0.0712 0.0712 0.7133
5 Au 0.1868 0.1868 0.4915
6 Au 0.3244 0.3244 0.9426
7 Au 0.4461 0.4461 0.7143
8 Au 0.5539 0.5539 0.2857
9 Au 0.6756 0.6756 0.0574
10 Au 0.8132 0.8132 0.5085
11 Au 0.9288 0.9288 0.2867

Structure and simulated XRD peak list of CaDy2Si6 (a crystal structure in Alexandria, relaxed with PBE; Cu Kα).
Peak positions follow from Bragg's law for the DFT cell and can differ from measured ones.

Main lines, sorted by position (5° ≤ 2θ ≤ 70°):
| 2θ (°) | d/Å | I_rel |
| --- | --- | --- |
| 14.43 | 6.139 | 25.7 |
| 22.13 | 4.016 | 7.9 |
| 25.13 | 3.544 | 39.6 |
| 26.52 | 3.361 | 12.3 |
| 33.73 | 2.658 | 100.0 |
| 44.26 | 2.046 | 32.7 |
| 45.14 | 2.009 | 16.7 |
| 52.36 | 1.747 | 11.0 |
| 56.78 | 1.621 | 22.0 |
| 65.07 | 1.433 | 21.6 |

a = 7.0887 Å, b = 7.0887 Å, c = 4.0165 Å
α = 90.00°, β = 90.00°, γ = 120.00°
Positions (direct):
1 Ca 0.0000 0.0000 0.0000
2 Dy 0.3333 0.6667 0.0000
3 Dy 0.6667 0.3333 0.0000
4 Si 0.0000 0.3351 0.5000
5 Si 0.0000 0.6649 0.5000
6 Si 0.3351 0.0000 0.5000
7 Si 0.3351 0.3351 0.5000
8 Si 0.6649 0.0000 0.5000
9 Si 0.6649 0.6649 0.5000

Structure and simulated XRD peak list of NpScH (a crystal structure in Alexandria, relaxed with PBE; Cu Kα).
Peak positions follow from Bragg's law for the DFT cell and can differ from measured ones.

Main lines, sorted by position (5° ≤ 2θ ≤ 70°):
| 2θ (°) | d/Å | I_rel |
| --- | --- | --- |
| 12.49 | 7.089 | 100.0 |
| 25.13 | 3.544 | 23.2 |
| 31.28 | 2.859 | 13.1 |
| 34.38 | 2.608 | 20.7 |
| 38.08 | 2.363 | 13.1 |
| 41.03 | 2.200 | 12.3 |
| 42.37 | 2.133 | 18.7 |
| 46.25 | 1.963 | 14.6 |
| 53.14 | 1.723 | 8.8 |
| 53.36 | 1.717 | 9.7 |

a = 4.6749 Å, b = 14.1773 Å, c = 5.6104 Å
α = 90.00°, β = 90.00°, γ = 90.00°
Positions (direct):
1 Np 0.0821 0.0000 0.2014
2 Np 0.0821 0.5000 0.7014
3 Np 0.4179 0.0000 0.7014
4 Np 0.4179 0.5000 0.2014
5 Np 0.5821 0.0000 0.2986
6 Np 0.5821 0.5000 0.7986
7 Np 0.9179 0.0000 0.7986
8 Np 0.9179 0.5000 0.2986
9 Sc 0.0015 0.1712 0.4995
10 Sc 0.0015 0.3288 0.9995
11 Sc 0.4985 0.6712 0.4995
12 Sc 0.4985 0.8288 0.9995
13 Sc 0.5015 0.1712 0.0005
14 Sc 0.5015 0.3288 0.5005
15 Sc 0.9985 0.6712 0.0005
16 Sc 0.9985 0.8288 0.5005
17 H 0.2485 0.7502 0.2497
18 H 0.2485 0.7498 0.7497
19 H 0.2515 0.2502 0.2497
20 H 0.2515 0.2498 0.7497

== Completed ==
Structure and simulated XRD peak list of K2Hg4F (a crystal structure in Alexandria, relaxed with PBE; Cu Kα).
Peak positions follow from Bragg's law for the DFT cell and can differ from measured ones.

Main lines, sorted by position (5° ≤ 2θ ≤ 70°):
| 2θ (°) | d/Å | I_rel |
| --- | --- | --- |
| 10.54 | 8.394 | 37.6 |
| 16.65 | 5.326 | 29.7 |
| 22.43 | 3.965 | 29.6 |
| 24.80 | 3.590 | 75.5 |
| 31.00 | 2.885 | 100.0 |
| 31.87 | 2.808 | 61.8 |
| 31.99 | 2.798 | 23.3 |
| 45.75 | 1.983 | 57.6 |
| 52.71 | 1.737 | 28.5 |
| 56.25 | 1.636 | 37.8 |

a = 5.6159 Å, b = 5.6159 Å, c = 16.7888 Å
α = 90.00°, β = 90.00°, γ = 90.00°
Positions (direct):
1 K 0.0000 0.0000 0.1445
2 K 0.0000 0.0000 0.8555
3 K 0.5000 0.5000 0.3555
4 K 0.5000 0.5000 0.6445
5 Hg 0.0000 0.0000 0.3513
6 Hg 0.0000 0.0000 0.6487
7 Hg 0.0000 0.5000 0.0000
8 Hg 0.0000 0.5000 0.5000
9 Hg 0.5000 0.0000 0.0000
10 Hg 0.5000 0.0000 0.5000
11 Hg 0.5000 0.5000 0.1487
12 Hg 0.5000 0.5000 0.8513
13 F 0.0000 0.0000 0.5000
14 F 0.5000 0.5000 0.0000

Structure and simulated XRD peak list of NpAg2Au8 (a crystal structure in Alexandria, relaxed with PBE; Cu Kα).
Peak positions follow from Bragg's law for the DFT cell and can differ from measured ones.

Main lines, sorted by position (5° ≤ 2θ ≤ 70°):
| 2θ (°) | d/Å | I_rel |
| --- | --- | --- |
| 33.40 | 2.683 | 32.2 |
| 37.60 | 2.392 | 74.5 |
| 38.08 | 2.363 | 77.2 |
| 38.49 | 2.339 | 100.0 |
| 38.89 | 2.316 | 53.9 |
| 39.82 | 2.264 | 36.1 |
| 40.63 | 2.220 | 22.2 |
| 51.16 | 1.786 | 19.7 |
| 67.62 | 1.385 | 17.7 |
| 68.45 | 1.371 | 18.9 |

a = 7.0777 Å, b = 7.0777 Å, c = 8.1720 Å
α = 121.49°, β = 121.49°, γ = 39.51°
Positions (direct):
1 Np 0.0000 0.0000 0.0000
2 Ag 0.3110 0.3110 0.2836
3 Ag 0.6890 0.6890 0.7164
4 Au 0.0712 0.0712 0.7133
5 Au 0.1868 0.1868 0.4915
6 Au 0.3244 0.3244 0.9426
7 Au 0.4461 0.4461 0.7143
8 Au 0.5539 0.5539 0.2857
9 Au 0.6756 0.6756 0.0574
10 Au 0.8132 0.8132 0.5085
11 Au 0.9288 0.9288 0.2867

Structure and simulated XRD peak list of CaDy2Si6 (a crystal structure in Alexandria, relaxed with PBE; Cu Kα).
Peak positions follow from Bragg's law for the DFT cell and can differ from measured ones.

Main lines, sorted by position (5° ≤ 2θ ≤ 70°):
| 2θ (°) | d/Å | I_rel |
| --- | --- | --- |
| 14.43 | 6.139 | 25.7 |
| 22.13 | 4.016 | 7.9 |
| 25.13 | 3.544 | 39.6 |
| 26.52 | 3.361 | 12.3 |
| 33.73 | 2.658 | 100.0 |
| 44.26 | 2.046 | 32.7 |
| 45.14 | 2.009 | 16.7 |
| 52.36 | 1.747 | 11.0 |
| 56.78 | 1.621 | 22.0 |
| 65.07 | 1.433 | 21.6 |

a = 7.0887 Å, b = 7.0887 Å, c = 4.0165 Å
α = 90.00°, β = 90.00°, γ = 120.00°
Positions (direct):
1 Ca 0.0000 0.0000 0.0000
2 Dy 0.3333 0.6667 0.0000
3 Dy 0.6667 0.3333 0.0000
4 Si 0.0000 0.3351 0.5000
5 Si 0.0000 0.6649 0.5000
6 Si 0.3351 0.0000 0.5000
7 Si 0.3351 0.3351 0.5000
8 Si 0.6649 0.0000 0.5000
9 Si 0.6649 0.6649 0.5000

Structure and simulated XRD peak list of NpScH (a crystal structure in Alexandria, relaxed with PBE; Cu Kα).
Peak positions follow from Bragg's law for the DFT cell and can differ from measured ones.

Main lines, sorted by position (5° ≤ 2θ ≤ 70°):
| 2θ (°) | d/Å | I_rel |
| --- | --- | --- |
| 12.49 | 7.089 | 100.0 |
| 25.13 | 3.544 | 23.2 |
| 31.28 | 2.859 | 13.1 |
| 34.38 | 2.608 | 20.7 |
| 38.08 | 2.363 | 13.1 |
| 41.03 | 2.200 | 12.3 |
| 42.37 | 2.133 | 18.7 |
| 46.25 | 1.963 | 14.6 |
| 53.14 | 1.723 | 8.8 |
| 53.36 | 1.717 | 9.7 |

a = 4.6749 Å, b = 14.1773 Å, c = 5.6104 Å
α = 90.00°, β = 90.00°, γ = 90.00°
Positions (direct):
1 Np 0.0821 0.0000 0.2014
2 Np 0.0821 0.5000 0.7014
3 Np 0.4179 0.0000 0.7014
4 Np 0.4179 0.5000 0.2014
5 Np 0.5821 0.0000 0.2986
6 Np 0.5821 0.5000 0.7986
7 Np 0.9179 0.0000 0.7986
8 Np 0.9179 0.5000 0.2986
9 Sc 0.0015 0.1712 0.4995
10 Sc 0.0015 0.3288 0.9995
11 Sc 0.4985 0.6712 0.4995
12 Sc 0.4985 0.8288 0.9995
13 Sc 0.5015 0.1712 0.0005
14 Sc 0.5015 0.3288 0.5005
15 Sc 0.9985 0.6712 0.0005
16 Sc 0.9985 0.8288 0.5005
17 H 0.2485 0.7502 0.2497
18 H 0.2485 0.7498 0.7497
19 H 0.2515 0.2502 0.2497
20 H 0.2515 0.2498 0.7497